Bringing your college dream within reach
Through generous donations from the community, North Central makes available a variety of scholarships. Our Scholarship Committee is dedicated to assessing the qualifications of students seeking scholarship funding.
Types of scholarships
- North Central Foundation Scholarships (for registered North Central students)
- North Central Presidential Scholarships (for graduating high school and home-school seniors in North Central's service area)
- North Central Tip of the Mitt Scholarship (in partnership with the Meijer Foundation)
Foundation Scholarships
North Central awards a number of endowment scholarships and scholarships contributed by annual donors.
Scholarship applications for 2024-2025 will be accepted during two cycles. Applications are available only during the dates shown.
- Cycle 1: Open March 15—August 15
- For Fall 2024 and Winter 2025 awards
- Students awarded Cycle 1 scholarship funds do not need to apply during Cycle 2.
- Cycle 2: Open October 15—December 15
- For Winter 2025 awards only
Students must complete the NCMC General Application to be considered for any and all
NCMC scholarships. Upon completion of the NCMC General Scholarship Application, eligible
·will automatically be matched to NCMC scholarship opportunities, and
·have the opportunity to view the Recommended Scholarship page under the Opportunities
Additional action is required for the Recommended NCMC Scholarships such as providing
an additional essay, letter(s) of recommendation, or answering an additional question(s).
- Can be full-time or part-time depending upon the scholarship awarded.
- Be registered for 3 or more credits.
- Many scholarships have a need component; therefore, it is highly recommended students complete the FAFSA.
- Preference given to students with a 2.0 or better grade point average, some scholarships require a grade point average higher than 2.0.
- Recipients must continue to meet the criteria for the scholarship awarded.
- Students who have the classification of Guest, Dual Enrolled, Early College, Non-degree Seeking or Personal Interest are ineligible for North Central scholarships.
- At the end of each open period, any student applications not awarded will be inactive.
- Students who were not awarded will need to complete another application when the next open period occurs.
Presidential Scholarships
The Presidential Scholarship is offered to a graduating senior from each of our service area high schools and to one graduating senior from home-schooled students within our service area. The scholarship provides full tuition and mandatory fees for four consecutive semesters immediately following high school graduation.
Presidential Scholarship selection criteria
Choose a student type below to see specific scholarship selection criteria.
To be considered for a high school Presidential Scholarship, a student shall:
- Complete an online Application for Admission to North Central by April 3 of their graduation year,
- Be a valedictorian, salutatorian, or have a 3.5 overall high school grade point average,
- Be nominated by the high school, which includes:
- A letter from the candidate's high school principal,
- A high school transcript complete through the nominee's seventh semester, and
- ACT/SAT scores (Test scores as of the deadline date will be used to determine the
candidate's eligibility.)
- Qualifying ACT/SAT scores:
- ACT score of 18 or above in English and a Reading score of 21 or above;
- SAT two-digit score of 25 or above in both English and Reading;
- SAT three-digit score of 500 or above in English/Reading/Writing (ERW)
- Qualifying ACT/SAT scores:
Please send all nomination documents to the Vice President of Student Affairs.
To be considered for a home-school Presidential Scholarship, a student shall:
- Complete an online Application for Admission to North Central by April 3 of their graduation year.
- Have a minimum 3.5 overall high school grade point average (include a high school transcript complete through the nominee’s seventh semester).
- Submit a recommendation letter that addresses their academic potential and leadership qualities.
- Submit a statement that addresses academic and career goals and how North Central will help to meet those goals.
- Submit ACT/SAT scores. Below are the qualifying scores:
- ACT score of 18 or above in English and a Reading score of 21 or above;
- SAT two-digit score of 25 or above in both English and Reading;
- SAT three-digit score of 500 or above in English/Reading/Writing (ERW)
-- What comes next are materials data, not part of the piece --
No. 1
! RbTe5Au4 | the Alexandria database | GGA-PBE | optimized geometry; values from VASP
! **SG**: Pmmn, No. 59
! **Electronic total energy**: -3.19 eV per atom
! **N(E_F)**: 5.65 states/eV per cell
! **Formation energy (no corrections)**: -0.2153 eV per atom
! **Magnetic moment**: 0.000 μB/atom
&SYSTEM
  ibrav = 0, nat = 20, ntyp = 3
/
ATOMIC_SPECIES
Rb 85.47 Rb.upf
Te 127.60 Te.upf
Au 196.97 Au.upf
CELL_PARAMETERS angstrom
8.287 0.000 0.000
0.000 12.599 0.000
0.000 0.000 6.172
ATOMIC_POSITIONS angstrom
Rb 2.072 3.150 0.855
Rb 6.215 9.449 5.317
Te 0.113 6.918 1.667
Te 0.113 11.981 1.667
Te 2.072 9.449 4.721
Te 4.031 6.918 1.667
Te 4.031 11.981 1.667
Te 4.256 0.618 4.505
Te 4.256 5.682 4.505
Te 6.215 3.150 1.451
Te 8.174 0.618 4.505
Te 8.174 5.682 4.505
Au 0.480 9.449 2.448
Au 2.072 6.720 5.841
Au 2.072 12.179 5.841
Au 3.663 9.449 2.448
Au 4.624 3.150 3.724
Au 6.215 0.421 0.331
Au 6.215 5.879 0.331
Au 7.807 3.150 3.724


No. 2
! RbMnOs2 | the Alexandria database | GGA-PBE | optimized geometry; values from VASP
! **SG**: Fm-3m, No. 225
! **Energy of formation**: 2.160 eV/atom
! **Electronic total energy**: -5.99 eV per atom
! **N(E_F)**: 8.15 states/eV per cell
! **Magnetic moment**: 0.000 μB/atom
! **Excess energy over the best structure of this formula in the dataset**: 0.362 eV per atom
&SYSTEM
  ibrav = 0, nat = 4, ntyp = 3
/
ATOMIC_SPECIES
Rb 85.47 Rb.upf
Mn 54.94 Mn.upf
Os 190.23 Os.upf
CELL_PARAMETERS angstrom
0.000 3.192 3.192
3.192 0.000 3.192
3.192 3.192 0.000
ATOMIC_POSITIONS angstrom
Rb 0.000 0.000 0.000
Mn 3.192 3.192 3.192
Os 1.596 1.596 1.596
Os 4.788 4.788 4.788


No. 3
! Cs2LiHfF | the Alexandria database | GGA-PBE | optimized geometry; values from VASP
! **SG**: P4/mmm, No. 123
! **Electronic total energy**: -2.63 eV per atom
! **N(E_F)**: 5.23 states/eV per cell
! **Formation energy (no corrections)**: 0.4583 eV per atom
! **Magnetic moment**: 0.800 μB/atom
&SYSTEM
  ibrav = 0, nat = 5, ntyp = 4
/
ATOMIC_SPECIES
Cs 132.91 Cs.upf
Li 6.94 Li.upf
Hf 178.49 Hf.upf
F 19.00 F.upf
CELL_PARAMETERS angstrom
7.050 0.000 0.000
0.000 7.050 0.000
0.000 0.000 5.403
ATOMIC_POSITIONS angstrom
Cs 0.000 3.525 0.000
Cs 3.525 0.000 0.000
Li 0.000 0.000 2.702
Hf 0.000 0.000 0.000
F 3.525 3.525 2.702


No. 4
! Ac2PrSmDy | the Alexandria database | GGA-PBE | optimized geometry; values from VASP
! **SG**: Pmma, No. 51
! **Energy of formation**: 0.254 eV/atom
! **Electronic total energy**: -4.21 eV per atom
! **N(E_F)**: 13.38 states/eV per cell
! **Magnetic moment**: 0.000 μB/atom
&SYSTEM
  ibrav = 0, nat = 10, ntyp = 4
/
ATOMIC_SPECIES
Ac 227.00 Ac.upf
Pr 140.91 Pr.upf
Sm 150.36 Sm.upf
Dy 162.50 Dy.upf
CELL_PARAMETERS angstrom
6.502 0.000 0.000
0.000 8.909 0.000
0.000 0.000 6.828
ATOMIC_POSITIONS angstrom
Ac 1.625 1.823 1.436
Ac 1.625 7.085 1.436
Ac 4.876 1.823 5.392
Ac 4.876 7.085 5.392
Pr 1.625 4.454 6.251
Pr 4.876 4.454 0.577
Sm 1.625 0.000 4.648
Sm 4.876 0.000 2.180
Dy 0.000 4.454 3.414
Dy 3.251 4.454 3.414


No. 5
Please send all nomination documents to the Vice President of Student Affairs.
Presidential Scholarship requirements and benefits
Presidential Scholarships are offered for full tuition (up to 20 contact hours per semester), and mandatory fees for four consecutive semesters (fall and winter only). Field study fees are not included. The scholarship will be subject to the additional following conditions:
Presidential Scholarships are offered for full tuition (up to 20 contact hours per semester), and mandatory fees for four consecutive semesters (fall and winter only). Field study fees are not included. The scholarship will be subject to the additional following conditions:
- Scholarship recipients must register for the Fall semester immediately following their spring high school graduation.
- Scholarship recipients are required to attend a retreat at North Central's Petoskey campus at the end of August, including a reception for scholarship recipients and their families.
- Recipients must meet with a designated academic advisor each semester they are enrolled at North Central.
A plane-wave DFT calculation with PBE-GGA was carried out for an optimized crystal structure of NbIn2Pd2.

Properties
**ΔH_f (0 K)**: -17 kJ per mole of atoms
**ΔE to the lowest computed polymorph**: 0.0000 eV/atom
**Magnetic moment**: 0.0 μB/f.u.

a = 7.8066 Å, b = 7.8066 Å, c = 3.0167 Å
α = 90.00°, β = 90.00°, γ = 90.00°
Last column: nearest neighbours and their distance in Å.
Atoms (fractional coordinates):
1 Nb 0.0000 0.0000 0.0000  2 Nb 3.02, 4 Pd 3.06, 8 In 3.27
2 Nb 0.5000 0.5000 0.0000  2 Nb 3.02, 4 Pd 3.06, 8 In 3.27
3 In 0.1679 0.3321 0.5000  6 Pd 2.69-2.79
4 In 0.3321 0.8321 0.5000  6 Pd 2.69-2.79
5 In 0.6679 0.1679 0.5000  6 Pd 2.69-2.79
6 In 0.8321 0.6679 0.5000  6 Pd 2.69-2.79
7 Pd 0.1306 0.6306 0.0000  6 In 2.69-2.79, 1 Pd 2.88
8 Pd 0.3694 0.1306 0.0000  6 In 2.69-2.79, 1 Pd 2.88
9 Pd 0.6306 0.8694 0.0000  6 In 2.69-2.79, 1 Pd 2.88
10 Pd 0.8694 0.3694 0.0000  6 In 2.69-2.79, 1 Pd 2.88


A plane-wave DFT calculation with PBE-GGA was carried out for an optimized crystal structure of NbIn2Pd.

Properties
**ΔH_f (0 K)**: 18 kJ per mole of atoms
**ΔE to the lowest computed polymorph**: 0.3872 eV/atom
**Magnetic moment**: 0.0 μB/f.u.

a = 10.3602 Å, b = 10.3602 Å, c = 10.3602 Å
α = 16.97°, β = 16.97°, γ = 16.97°
Last column: nearest neighbours and their distance in Å.
Atoms (fractional coordinates):
1 Nb 0.0000 0.0000 0.0000  2 In 2.89, 6 Nb 3.06
2 In 0.0943 0.0943 0.0943  3 Pd 2.83, 1 Nb 2.89, 6 In 3.06
3 In 0.9057 0.9057 0.9057  3 Pd 2.83, 1 Nb 2.89, 6 In 3.06
4 Pd 0.5000 0.5000 0.5000  6 In 2.83, 6 Pd 3.06


A plane-wave DFT calculation with PBE-GGA was carried out for an optimized crystal structure of NbInPdRh.

Properties
**ΔH_f (0 K)**: -31 kJ per mole of atoms
**Magnetic moment**: 0.0 μB/f.u.

a = 4.5811 Å, b = 4.5811 Å, c = 4.5811 Å
α = 60.00°, β = 60.00°, γ = 60.00°
Last column: nearest neighbours and their distance in Å.
Atoms (fractional coordinates):
1 Nb 0.0000 0.0000 0.0000  4 Rh 2.81, 4 Pd 2.81
2 In 0.5000 0.5000 0.5000  4 Pd 2.81, 4 Rh 2.81
3 Pd 0.2500 0.2500 0.2500  4 In 2.81, 4 Nb 2.81
4 Rh 0.7500 0.7500 0.7500  4 In 2.81, 4 Nb 2.81


A plane-wave DFT calculation with PBE-GGA was carried out for an optimized crystal structure of Nb2In2PdSe6.

Properties
**Raw formation energy**: -0.487 eV per atom
**Magnetic moment**: 0.0 μB/f.u.

a = 6.5890 Å, b = 6.5890 Å, c = 7.6535 Å
α = 96.84°, β = 96.84°, γ = 122.44°
Last column: nearest neighbours and their distance in Å.
Atoms (fractional coordinates):
1 Nb 0.1363 0.8637 0.0000  6 Se 2.56-2.75
2 Nb 0.8637 0.1363 0.0000  6 Se 2.56-2.75
3 In 0.3166 0.6834 0.5000  6 Se 2.98-3.13
4 In 0.6834 0.3166 0.5000  6 Se 2.98-3.13
5 Pd 0.5000 0.5000 0.0000  6 Se 2.66-2.77
6 Se 0.0924 0.4572 0.8054  2 Nb 2.61-2.75, 1 Pd 2.77
7 Se 0.2435 0.2435 0.2277  2 Nb 2.56, 1 Pd 2.66
8 Se 0.4572 0.0924 0.8054  2 Nb 2.61-2.75, 1 Pd 2.77
9 Se 0.5428 0.9076 0.1946  2 Nb 2.61-2.75, 1 Pd 2.77
10 Se 0.7565 0.7565 0.7723  2 Nb 2.56, 1 Pd 2.66
11 Se 0.9076 0.5428 0.1946  2 Nb 2.61-2.75, 1 Pd 2.77
- Recipients must register for a minimum of 12 credit hours, which count toward graduation. Courses must be taken for credit, not audit status.
# Here the piece breaks off for records of crystals
-- begin --
[1]
The following is a DFT calculation (PBE-GGA) of crystalline La2AlF at its relaxed geometry.

For the formation energy (no corrections), the calculation gives -1013 meV per atom. Its density of states at the Fermi level is 13.322 states/eV per cell. Its total magnetization is 0.0 μB per formula unit.

It has space group Fm-3m (No. 225), with a = 7.4234 Å, b = 7.4234 Å, c = 7.4234 Å, α = 90.00°, β = 90.00° and γ = 90.00°. The inequivalent atoms are La at (0.2500, 0.2500, 0.2500), Al at (0.0000, 0.0000, 0.0000) and F at (0.0000, 0.0000, 0.5000).


[2]
The following is a DFT calculation (PBE-GGA) of crystalline PmDy2Pb at its relaxed geometry.

Its density of states at the Fermi level is 11.127 states/eV per cell. Its total magnetization is 0.0 μB per formula unit. The calculation puts the electronic total energy at -0.1678 hartree per atom.

It has space group R3m (No. 160, hexagonal axes), with a = 3.6175 Å, b = 3.6175 Å, c = 33.1673 Å, α = 90.00°, β = 90.00° and γ = 120.00°. The inequivalent atoms are Pm at (0.0000, 0.0000, 0.0000), Dy at (0.0000, 0.0000, 0.5791), Dy at (0.0000, 0.0000, 0.7547) and Pb at (0.0000, 0.0000, 0.1666).


[3]
The following is a DFT calculation (PBE-GGA) of crystalline Zr4TaZn at its relaxed geometry.

Its density of states at the Fermi level is 36.589 states/eV per cell. Its total magnetization is 0.0 μB per formula unit. The calculation puts the electronic total energy at -0.2713 hartree per atom.

It has space group F-43m (No. 216), with a = 8.0408 Å, b = 8.0408 Å, c = 8.0408 Å, α = 90.00°, β = 90.00° and γ = 90.00°. The inequivalent atoms are Zr at (0.1230, 0.1230, 0.1230), Ta at (0.2500, 0.2500, 0.7500) and Zn at (0.0000, 0.0000, 0.5000).


[4]
The following is a DFT calculation (PBE-GGA) of crystalline LiTcIN2 at its relaxed geometry.

For the formation energy (no corrections), the calculation gives 209 meV per atom. Its density of states at the Fermi level is 2.628 states/eV per cell. Its total magnetization is 0.0 μB per formula unit.

It has space group P4/mmm (No. 123), with a = 3.8713 Å, b = 3.8713 Å, c = 5.9018 Å, α = 90.00°, β = 90.00° and γ = 90.00°. The inequivalent atoms are Li at (0.0000, 0.0000, 0.0000), Tc at (0.5000, 0.5000, 0.5000), I at (0.5000, 0.5000, 0.0000) and N at (0.0000, 0.5000, 0.5000).


[5]
The following is a DFT calculation (PBE-GGA) of crystalline BAu2Cl at its relaxed geometry.

For the formation energy (no corrections), the calculation gives 281 meV per atom. Its density of states at the Fermi level is 0.451 states/eV per cell. Its total magnetization is 0.0 μB per formula unit.

It has space group I-42d (No. 122), with a = 6.1824 Å, b = 6.1824 Å, c = 8.0751 Å, α = 90.00°, β = 90.00° and γ = 90.00°. The inequivalent atoms are B at (0.0000, 0.0000, 0.0000), Au at (0.1645, 0.2500, 0.1250) and Cl at (0.0000, 0.0000, 0.5000).


[6]
The following is a DFT calculation (PBE-GGA) of crystalline KCuW2 at its relaxed geometry.
-- stop --
# The records of crystals stop here
- Scholarships may be renewed for three consecutive semesters beyond the first award provided a 3.0 minimum term GPA is maintained each semester and 75% of credit hours successfully completed.
- Recipients must observe published College behavioral standards.
- Scholarships are for North Central Michigan College only and not transferable.
Scholarship recipients must become involved in a leadership program as provided by North Central.
Tip of the Mitt Scholarship
North Central’s Tip of the Mitt Scholarship is intended for first-generation students who will graduate high school with a 2.5 or higher GPA and are unsure if they want — or how they could afford — to attend college. While first-generation students will be given preference, non-first-generation students may be considered as funding and space allow.
The scholarship covers two years (four consecutive semesters) at North Central or completion of an associate degree or certificate program, whichever comes first. It includes tuition (up to 20 contact hour/semester), mandatory fees, and books purchased through the College Bookstore. The scholarship can also be used for summer courses. Other forms of financial aid will be applied first.
Tip of the Mitt Scholarship: Eligibility Criteria
- Seniors attending high school or homeschooling in the NCMC service area. For details, please contact NCMC Student Services at 231-348-6605.
- First-generation college students preferred
- High school GPA of at least 2.5
- Must enroll at NCMC for the Fall semester immediately following high school graduation
- Agree to participate in the following Student Success Program requirements:
- Team Building Day and Reception in late August
- North Central Day at the end of August
- College Success course, first semester only, as scheduled
- Two campus activities per semester (ex: Student Senate, athletic event, student club, Luncheon Lecture, tutoring, volunteering)
- Meet with academic advisor to register for classes and make an educational plan
- Meet with Student Success Coordinator regularly
- Meet with Career Development Specialist once per year
- Optional opportunity for leadership in the second year of the program
- Team Building Day and Reception in late August
Tip of the Mitt Scholarship: Steps to Apply
Application opens in mid-February. Recipients will be notified by the end of April.
- Apply and become an accepted North Central student (
- Complete the FAFSA (
- Complete the Tip of the Mitt Scholarship application
Learn about and apply for available NCMC scholarships.
Explore the many scholarships available through the NCMC Foundation.
Learn More and Apply